-- Brief --
Please count the lines below that contain the word "parameters" and give the number alone.

-- File --
/*
Diffraction record for Pm5TeRu2. The XRD peak list is computed, not measured: it uses DFT lattice parameters and positions (PBE) and λ = 1.5418 Å (Cu Kα).
Neutral-atom scattering factors, no anomalous dispersion.

Peak list (12 most intense, 15° ≤ 2θ ≤ 90°, low angle first)
25.7 deg, I = 13; 30.8 deg, I = 27; 31.6 deg, I = 12; 31.9 deg, I = 100; 34.7 deg, I = 28; 35.4 deg, I = 69; 41.8 deg, I = 24; 51.2 deg, I = 11; 53.1 deg, I = 11; 55.7 deg, I = 16; 66.1 deg, I = 18; 66.4 deg, I = 20

Cell lengths 8.0090, 8.0090, 13.5519 Å; angles 90.00, 90.00, 90.00 degrees
Space group I4/mcm (No. 140)
One atom of each set of equivalent atoms:
Pm 0.0000 0.0000 0.0000
Pm 0.1548 0.3452 0.1338
Te 0.0000 0.0000 0.2500
Ru 0.1419 0.3581 0.5000
*/

-- Reply --
1